Youth unemployment
There is no doubt that youth unemployment is a problem of nowadays society so this report is searching for options to deal with this current situation.
It is in the zeitgeist that unemployment hampes young people to develop their careers as to the way that they have to emigrate to foreign countries in order to find a proper ob. This essay will seek to examine two ways in which youth unemployment could be managed and improved in countries such as Spain.
Without a shadow of doubt, the educational system should evolve to a practical teaching since kids start schools, but, especially in superior education like university students. The first part of call which we need to bear in mind is the importance of putting into practice the theoretical knowledge acquired. One of the main requirements to apply for a job is the experience that the applicant has. Nevertheless, how can young people gain it if they are not given the chance? With this in mind, it is crystal clear that providing students with practical subjects ought to set a positive impact in their professional development. This also allows them to develop a convenient self-esteem.
Additionally, the practice part that usually students have at the end of the degree, which mainly they consist in 300 or 500 hours in most of the degrees, they should be done from the very beginning in order to acquire the capacities that we’re asked after our degrees, which most of students don’t have. It should be provided every educational year and they should be remunerated and not been used as a way for the company to have free workers. It is really frustrating that young people, after finishing their studies and being well prepared with languages and so on, have to go through this in order to gain the experience they’re asked for so as to be hired.
(These data records were left in the page by mistake)
- - -
1.
ORCA calculation (ωB97M-V/def2-TZVPD) on a gas-phase ion, C35H50N11O8 (charge +1).

The geometry in XYZ format:
```
104
Properties=species:S:1:pos:R:3:forces:R:3:mulliken_charge:R:1
C 0.12869 -0.11420 -3.73971 0.3 -0.7 -0.1 -1.074
C 0.73984 -1.14114 -3.81227 0.1 0.1 0.0 -0.009
C 1.56561 -2.33352 -3.88303 -0.1 -0.3 -0.2 -0.531
H 0.94477 -3.23169 -3.76019 0.1 0.1 -0.1 0.291
H 2.06080 -2.37599 -4.86277 0.0 -0.1 0.2 0.439
O 2.54944 -2.27900 -2.84331 -0.2 0.2 0.1 -0.006
C 3.75410 -2.96491 -3.10810 0.6 -0.1 0.1 -0.817
C 4.74841 -2.60599 -1.99452 -0.3 -0.2 -0.2 -0.771
O 4.90229 -1.22362 -1.80935 0.0 0.1 0.1 -0.199
C 5.62269 -0.55909 -2.83549 0.2 0.4 0.1 -0.300
H 5.00119 -0.41652 -3.72891 0.1 0.0 0.0 0.220
H 6.50201 -1.15758 -3.10796 0.0 0.0 0.0 0.530
C 6.09004 0.81631 -2.33848 0.1 -0.4 -0.2 -0.808
H 6.36240 0.73470 -1.28001 0.0 0.0 -0.1 0.325
H 6.97695 1.09894 -2.91348 0.0 -0.1 0.1 0.397
O 5.16083 1.84936 -2.54988 -0.3 -0.1 -0.1 -0.432
C 4.30556 2.21539 -1.48920 -0.4 0.2 0.0 -0.440
H 4.37415 3.30528 -1.39570 0.0 -0.1 0.1 0.388
H 4.62268 1.75833 -0.54605 0.0 0.0 0.0 0.311
C 2.83520 1.85608 -1.76356 0.5 0.3 0.1 -0.979
N 2.54151 0.46583 -1.52460 0.0 -0.3 -0.1 0.572
C 2.11653 0.01904 -0.35510 -0.2 -0.1 0.1 0.067
N 1.90841 0.82665 0.65209 0.1 0.3 0.0 -0.318
C 1.31810 0.30867 1.74385 0.5 -0.5 -0.4 0.055
N 1.04420 1.12011 2.74900 0.1 0.0 -0.1 -0.003
C 0.19069 0.75317 3.85534 -0.5 0.0 0.3 -0.901
H -0.04306 -0.30776 3.79939 0.0 0.1 0.1 0.183
H 0.71301 0.97523 4.79120 0.0 -0.1 0.0 0.366
C -1.09521 1.59075 3.77097 0.0 -0.4 0.1 0.567
O -0.80880 2.96905 3.75706 0.0 0.3 0.2 -0.545
C -0.00174 3.30513 2.64664 0.4 0.0 -0.2 0.326
H 0.18035 4.37846 2.71357 0.0 0.0 -0.1 0.605
C 1.32354 2.53772 2.68915 -0.2 0.6 -0.1 -0.978
H 1.91596 2.74440 1.80107 0.0 0.1 0.1 0.430
H 1.88008 2.81136 3.59154 0.0 0.0 -0.1 0.285
H -0.52171 3.06439 1.71002 0.1 0.1 0.1 -0.351
H -1.72261 1.41573 4.64572 0.0 -0.1 -0.1 0.572
H -1.63575 1.31356 2.85578 0.0 0.0 0.2 -0.424
N 1.06395 -1.01182 1.90117 -0.2 -0.1 0.2 -0.090
C 1.39456 -1.82121 0.92701 0.4 0.5 0.2 0.016
N 1.87959 -1.33618 -0.25290 0.0 0.0 0.0 1.465
N 1.32831 -3.15095 1.14392 0.2 0.0 -0.1 -0.110
H -2.74514 1.53520 -3.81570 0.0 0.1 -0.1 0.270
C 0.57110 -3.62321 2.28756 0.0 0.0 0.4 -0.879
H 1.05748 -4.52528 2.66286 0.0 0.1 0.0 0.294
H 0.59560 -2.85259 3.05433 0.0 -0.2 0.0 0.454
C -0.88992 -3.92236 1.83839 0.0 0.1 0.2 -0.337
N -0.96615 -3.74131 0.40403 -0.1 -0.4 -0.2 0.223
C -1.22984 -2.55953 -0.21668 -0.3 0.0 0.2 -0.642
O -0.89771 -2.34827 -1.36626 0.1 0.1 -0.2 -0.497
C -2.02797 -1.52822 0.58221 0.0 -0.4 0.1 -0.720
N -1.87848 -0.23919 -0.03095 -0.2 0.4 -0.5 2.129
C -2.31951 0.23513 -1.21476 0.2 0.5 0.0 -0.292
C -1.85765 1.53606 -1.25290 -0.1 -0.5 -0.3 -1.159
N -1.17152 1.75865 -0.11381 0.2 0.3 -0.2 -0.773
N -1.19169 0.69895 0.60572 0.3 -0.4 0.7 0.793
C -2.10942 2.64381 -2.22256 -0.3 0.0 0.2 -0.430
N -1.97978 2.16436 -3.58952 0.0 0.1 -0.3 -0.451
H -2.02470 2.94171 -4.23992 -0.1 -0.1 0.0 0.307
- - -
A further point we should not overlook is the growing trend of elderly people retiring so late. Some experts claim that this is caused due to the inversion of the population pyramid that leads to inability to meet pensions. This suggest that governments might provide citizen with a suitable legislation that promotes youth employment in detriment of late retirements. Not only it is going to benefit young people that will have higher possibilities to get a job but also it will be enthusiastically welcomed by the elderly.
In conclusion, in light of the points mentioned above, my contention is that providing an adequate practical teaching as well as implementing measures and laws that support investments in youth contracts should be a good opportunity of a development of a country and an improve in citizen wellbeing.